Thursday, April 13, 2017

[Here the piece breaks off for records of crystals]
+++
Calculated powder XRD pattern of TcAuO3 for Cu Ka, from DFT lattice parameters and positions (GGA-PBE).
No peak broadening, texture or thermal motion is included.

Crystal structure
```
data_TcAuO3
_space_group_name_H-M_alt 'R -3 c'
_space_group_IT_number 167
_space_group_name_Hall '-R 3 2"c'
_cell_length_a 5.3643
_cell_length_b 5.3643
_cell_length_c 13.8103
_cell_angle_alpha 90.00
_cell_angle_beta 90.00
_cell_angle_gamma 120.00
loop_
_atom_site_label
_atom_site_type_symbol
_atom_site_fract_x
_atom_site_fract_y
_atom_site_fract_z
Tc1 Tc 0.0000 0.0000 0.0000
Au1 Au 0.0000 0.0000 0.2500
O1 O 0.0000 0.4209 0.2500
```

The 10 most intense peaks (2θ from 10° to 80°), low angle first:
hkl 0 1 2, 23.1 deg, 3.855 Å, I 18; hkl 1 0 4, 32.3 deg, 2.771 Å, I 100; hkl 1 1 0, 33.4 deg, 2.682 Å, I 87; hkl 0 2 4, 47.2 deg, 1.927 Å, I 47; hkl 0 1 8, 56.9 deg, 1.618 Å, I 20; hkl 2 1 4, 59.0 deg, 1.565 Å, I 38; hkl 3 0 0, 59.7 deg, 1.549 Å, I 20; hkl 2 0 8, 67.6 deg, 1.386 Å, I 15; hkl 1 2 8, 77.5 deg, 1.231 Å, I 17; hkl 1 3 4, 79.4 deg, 1.207 Å, I 15

Calculated powder XRD pattern of Ag2SnI4 for Cu Ka, from DFT lattice parameters and positions (GGA-PBE).
No peak broadening, texture or thermal motion is included.

Crystal structure
```
data_Ag2SnI4
_space_group_name_H-M_alt 'I -4'
_space_group_IT_number 82
_space_group_name_Hall 'I -4'
_cell_length_a 6.5855
_cell_length_b 6.5855
_cell_length_c 13.2488
_cell_angle_alpha 90.00
_cell_angle_beta 90.00
_cell_angle_gamma 90.00
loop_
_atom_site_label
_atom_site_type_symbol
_atom_site_fract_x
_atom_site_fract_y
_atom_site_fract_z
Ag1 Ag 0.0000 0.0000 0.0000
Ag2 Ag 0.0000 0.5000 0.2500
Sn1 Sn 0.0000 0.0000 0.5000
I1 I 0.2196 0.2491 0.8604
```

The 10 most intense peaks (2θ from 10° to 80°), low angle first:
hkl 1 1 2, 23.4 deg, 3.810 Å, I 100; hkl 2 0 2, 30.3 deg, 2.949 Å, I 6; hkl 1 2 1, 31.1 deg, 2.875 Å, I 9; hkl 2 0 4, 38.6 deg, 2.335 Å, I 48; hkl 2 2 0, 38.7 deg, 2.328 Å, I 25; hkl 1 1 6, 45.5 deg, 1.995 Å, I 14; hkl 3 1 2, 45.7 deg, 1.987 Å, I 30; hkl 4 0 0, 55.8 deg, 1.646 Å, I 8; hkl 1 3 6, 61.2 deg, 1.515 Å, I 10; hkl 4 2 4, 69.9 deg, 1.346 Å, I 14

Calculated powder XRD pattern of HoBiI6 for Cu Ka, from DFT lattice parameters and positions (GGA-PBE).
No peak broadening, texture or thermal motion is included.

Crystal structure
```
data_HoBiI6
_space_group_name_H-M_alt 'C 1 2 1'
_space_group_IT_number 5
_space_group_name_Hall 'C 2y'
_cell_length_a 7.7288
_cell_length_b 13.4049
_cell_length_c 7.7565
_cell_angle_alpha 90.00
_cell_angle_beta 108.96
_cell_angle_gamma 90.00
loop_
_atom_site_label
_atom_site_type_symbol
_atom_site_fract_x
_atom_site_fract_y
_atom_site_fract_z
Ho1 Ho 0.0000 0.0000 0.0000
Bi1 Bi 0.0000 0.6676 0.0000
I1 I 0.2252 0.8378 0.2455
I2 I 0.2415 0.0076 0.7592
I3 I 0.2478 0.1567 0.2410
```

The 10 most intense peaks (2θ from 10° to 80°), low angle first:
+++

The Rising Setting Sun

One of my favorite flights I have ever had was with my friend Tucker Anderson in Moscow, Idaho. It was 1994 and we took off just as the sun was setting. As the propeller on the little airplane pulled us upward into the sky, the heavy orange sun became light again, changing its direction moving upwards from the horizon and becoming a brilliant yellow ball in the sky. It was the first time I had seen a sunset turn into a sunrise and the first sunrise I had seen from the West. The sun then set again as the little plane could not keep up with our earth’s eternal rotation…so we flew off into a shimmering gold covered dusk, a reflection of the beautiful Palouse hills on the sky above. It was then that I had a better understanding of this small planet we call home…how our inventions have shaped our lives…and the realization that what we call reality is only a perception of what we choose to see.  ~ Tad Jones

Wednesday, March 22, 2017

A Mile of Airstrip Can Take You Anywhere!

There is a saying, "A Mile of Road will take you 1 mile... A Mile of Airstrip can take you Anywhere!"   In many of these cases it may take just over a half-mile of runway to take you anywhere :)

Idaho has a great network of local community airports.  Some of these airports have landing strips that are a bit shorter than some pilots might be used to but they offer the opportunity to see new places that are more off the beaten path than a typical mile long runway.

Calculated crystals from another source follow =
********
(1)
# PmZrNbN3
Calculated powder diffractogram, Cu Kα (λ = 1.5418 Å). Input: DFT lattice parameters and positions (PBE).
Intensities are scaled so that the largest is 100.

Cell and atoms:
Lattice parameters (Å, degrees): 5.722 3.314 8.524 90.00 102.82 90.00
Element x y z (fractional)
Pm1 0.147 0.250 0.191
Pm2 0.853 0.750 0.809
Zr1 0.267 0.750 0.548
Zr2 0.733 0.250 0.452
Nb1 0.376 0.250 0.866
Nb2 0.624 0.750 0.134
N1 0.062 0.250 0.658
N2 0.252 0.750 0.989
N3 0.462 0.750 0.345
N4 0.538 0.250 0.655
N5 0.748 0.250 0.011
N6 0.938 0.750 0.342

Top 10 peaks for 2θ = 10–90°, by angle:
2θ/deg  intensity
31.47  46.6
32.31  31.2
32.75  20.2
34.41  87.6
36.15  100.0
42.87  25.5
51.94  16.0
55.44  17.5
56.78  22.7
65.68  14.1


(2)
# BaTlAg2Cl8
Calculated powder diffractogram, Cu Kα (λ = 1.5418 Å). Input: DFT lattice parameters and positions (PBE).
Intensities are scaled so that the largest is 100.

Cell and atoms:
Lattice parameters (Å, degrees): 8.751 8.751 8.751 133.44 133.44 67.96
Element x y z (fractional)
Ba1 0.000 0.000 0.000
Tl1 0.750 0.250 0.500
Ag1 0.250 0.750 0.500
Ag2 0.500 0.500 0.000
Cl1 0.006 0.614 0.004
Cl2 0.142 0.284 0.564
Cl3 0.386 0.390 0.392
Cl4 0.422 0.858 0.142
Cl5 0.610 0.002 0.996
Cl6 0.716 0.280 0.858
Cl7 0.720 0.578 0.436
Cl8 0.998 0.994 0.608

Top 10 peaks for 2θ = 10–90°, by angle:
2θ/deg  intensity
21.91  100.0
24.53  20.3
25.76  14.9
35.87  31.8
36.75  21.6
41.65  22.7
43.20  45.3
44.68  17.0
56.74  13.5
57.35  13.5


(3)
# Sr2AlPdO5
Calculated powder diffractogram, Cu Kα (λ = 1.5418 Å). Input: DFT lattice parameters and positions (PBE).
Intensities are scaled so that the largest is 100.

Cell and atoms:
Lattice parameters (Å, degrees): 7.186 7.186 10.361 90.00 90.00 152.45
Element x y z (fractional)
Sr1 0.111 0.889 0.500
Sr2 0.138 0.862 0.137
Sr3 0.862 0.138 0.637
Sr4 0.889 0.111 0.000
Al1 0.438 0.562 0.261
Al2 0.562 0.438 0.761
Pd1 0.210 0.790 0.847
Pd2 0.790 0.210 0.347
O1 0.055 0.945 0.837
O2 0.288 0.712 0.467
O3 0.315 0.685 0.203
O4 0.354 0.646 0.829
O5 0.497 0.503 0.618
O6 0.503 0.497 0.118
O7 0.646 0.354 0.329
O8 0.685 0.315 0.703
O9 0.712 0.288 0.967
O10 0.945 0.055 0.337

Top 10 peaks for 2θ = 10–90°, by angle:
2θ/deg  intensity
12.68  30.2
21.36  24.0
28.84  62.5
30.90  24.1
32.47  32.4
33.64  31.1
37.55  100.0
39.71  34.8
45.43  33.0
61.98  22.0


(4)
# Rb2Se5
Calculated powder diffractogram, Cu Kα (λ = 1.5418 Å). Input: DFT lattice parameters and positions (PBE).
Intensities are scaled so that the largest is 100.

Cell and atoms:
Lattice parameters (Å, degrees): 6.880 7.180 20.152 90.00 90.00 90.00
Element x y z (fractional)
Rb1 0.089 0.187 0.181
Rb2 0.129 0.427 0.505
Rb3 0.371 0.573 0.005
Rb4 0.411 0.813 0.681
Rb5 0.589 0.313 0.819
Rb6 0.629 0.073 0.495
Rb7 0.871 0.927 0.995
Rb8 0.911 0.687 0.319
Se1 0.040 0.723 0.811
Se2 0.070 0.420 0.862
Se3 0.088 0.678 0.153
Se4 0.106 0.919 0.538
Se5 0.237 0.079 0.370
Se6 0.263 0.921 0.870
Se7 0.394 0.081 0.038
Se8 0.412 0.322 0.653
Se9 0.430 0.580 0.362
Se10 0.460 0.277 0.311
********

This week I flew to Parma, Idaho and Homedale, Idaho for some short-field takeoff and landing practice.  Homedale's runway is 2,900 ft long but has displaced thresholds which make it significantly shorter.  Pilots can use the displaced threshold for the take-off roll & roll-out but are not allowed to land within the thresholds.  The reason for the thresholds in Homedale are that Highway 95 crosses near the end of runway 13 and there are trees at the end of runway 31.  The displaced thresholds provide an added margin of safety for the approach but reduce the overall usable length of the runway.  Here is a video of some takeoffs & landings at Homedale.  The wind was super calm this day & there was minimal air traffic so you see me land one direction and then turn around and take off the other direction.

Parma's runway is about 2,700' long.  In many cases I could have done a touch and go when landing runway 12 but I was playing it safe and back-taxiing to make sure I had adequate runway for my takeoffs.  The last landing in the video at Parma is a touch and go.  Currently Parma's approach for Runway 12 is right traffic and left traffic for runway 30.  This helps keep traffic from flying directly over town.  Also, in the Airport Facility directory it recommends landing on runway 30 and taking off on runway 12 when the winds allow.  In this video other traffic was departing runway 12 so you see me land and take off runway 12 and then circle around to land on runway 30.

The saying,  "A Mile of Airstrip can take you Anywhere!" can also be used as a metaphor for the opportunities that these airports provide.  These smaller airports promote business and industry and are a great asset to our local communities and economy.  One example is Kitfox aircraft in Homedale, Idaho.  A few years ago my wife Karma and I had the opportunity to take a tour of their facilities in Homedale.  They manufacture amazing backcountry kit built airplanes as well as certified aircraft.  Great people producing a great product!  Local companies at our small local airports provide employment opportunities and add to the local economy and to the interesting fabric of our communities.
Kitfox Aircraft

Another important role that many of these airports provide to our local farming communities are bases for aerial applicators.  When flying into Parma this week I was communicating with a local crop duster coordinating our arrivals and departures.  The pilot was super nice and it was inspiring to watch him swoop down over the fields from above.  Aerial application pilots have some amazing flying skills.  In the video you see him landing in Parma.  The roar of that radial engine was a sound familiar to my childhood.

I remember being enamored with the local crop dusters when I was a kid.  I would run outside when I heard the crop duster's engine in the distance and the pilot would wave to me as he flew over the fields next to our house.  A few years ago I was riding my motorcycle next to some fields in southern Idaho and a crop duster flew down next to me and waved to me as he barely cleared the tops of the crops.

The Idaho Department of Transportation publishes a Summary of Economic Impact of airports in Idaho every 10 years.  The last study was conducted in 2009.  This link shows the total employment, payroll and total output of airports in Idaho.
Idaho Airport Economic Impact Summary

We are lucky in Idaho to have so many local community airports and we should protect and promote this valuable industry.

~ Tad Jones

Friday, March 3, 2017

Pilot Checklists | Not All People that Talk to Themselves are Crazy

Before the age of cellphones and bluetooth if you saw someone walking down the street talking to themselves you might have thought they had a screw loose.  Now in the technological age you see glowing blue devices in people's ears that look like they might be from an episode of Star Trek.

Now days you see all sorts of folks walking around town talking to themselves, people alone in their cars waving their arms around using body language to describe their conversation to an empty seat next to them and now it all seems perfectly normal.

As pilots we are trained to use checklists to ensure that particular items are completed for each phase of the flight.  I have found that saying the items on the checklist out loud help to ensure I am actually completing the items on the checklists.  I will typically try to perform the checklist by memory first and then back check those items with a thorough review by reading down the items on the checklist to see if I missed anything.  If you pay attention to the video you will see that I actually do miss an item in the run-up checklist but then I correct it when I read back through the printed checklist.

I received my checkout in the C182 and this week I flew solo which was both fun and exciting.  Even though I am all by myself in the airplane it really helps to speak the checklists out-loud.  It could be that I have a screw loose like the folks walking around town talking to themselves but at least by talking to myself in the cockpit I am more likely to accurately complete thorough flight checklists when it really matters most.

(Tad Flying the 182 Solo)

Thursday, February 16, 2017

Better to be on the Ground wishing you were In the Air...than in the Air wishing you were on the Ground.

There is an old saying by Pilots,"It is Better to be on the Ground wishing you were In the Air...than in the Air wishing you were on the Ground."

The windsock is straight out and constantly changing direction as it violently tugs at the mast it is attached to.  Tumbleweeds roll quickly by on the taxiway, picking up speed as they are whisked away by gusts of wind.  The parking brake is set and the gust lock is installed as I position the ladder from the fuel island next to the wing.  I climb the ladder carefully removing the fuel caps and add a few extra gallons of 100LL octane fuel to each wing just in case our flight ends up being longer than expected if the weather gets worse.  I feel the plane buck and jerk about in the wind gusts as I add fuel.  An image of a gust getting under the tail feathers and flipping her over goes through my mind even though I know she weighs nearly a ton.

We were originally going to practice stalls today but it is perfect conditions to test my crosswind landing skills so the plan for today's training has changed.  My instructor Jim asks me if I am up for flying in these conditions and he gives me the choice.  I tell him that I wouldn't fly if I were by myself but I am up for it if he is.  We get in the plane, fasten our seatbelts and start going through the checklists.

We listen to the AWOS (Automated Weather Observation System) and the winds are gusting from 5-25 knots.  The clip in the video describing 9-22 knots is actually after we landed.  Both of those are quite a range.  At the lower end of that scale I am confident that I can perform crosswind landings easily.  I also know that the crosswind component limit the Cessna 182 has been tested by the manufacturer at 20 knots for takeoff and 15 knots for landings.  I also realize those tests were made under ideal conditions with a professional test pilot.  I am not a professional test pilot and the plane I am flying today is over 50 years old and probably not as agile as it was when it rolled off the production line in 1965.

As we roll onto the runway the wind shifts to being almost a direct headwind so we take advantage of the timing and apply full power.  I build up a bit more speed than normal to compensate for any gusts before I lift the plane off the ground.  Before roll out the wind shifts again and blasts from the right and we crab into the wind as we leave the ground to keep the airplane flying straight down the runway.  As we turn from Crosswind to Downwind I get an idea of how strong the winds are by how much farther I am being blown from the runway than normal.  I crab the airplane back to the runway in order to fly a somewhat straight pattern.

There are two main landing configurations for crosswind landings, the side slip and the crab.  I learned the side slip technique in my initial training so that is the technique that I use.  As we are coming in I am trying to set up a stabilized approach.  We are using a little bit higher airspeed.  A general rule is to add about half of the gust to your airspeed on approach.  We are also using a maximum of about 20 degrees of flaps so that we have more control authority and so that we won't have as much lift when we get close to the ground.  That way a gust doesn't have quite as much of a chance to lift us back into the air when we are close to the ground in our flare.

In the side slip technique I am holding aileron into the wind to keep the airplane's path and track lined up with the runway and then using the rudder to keep the airplane's longitudinal axis in line with the runway.  In the video you can see that I am a little low and have a lot of power in.  That could be compensating for the loss of altitude in the side slip.  Also, what doesn't show up in the video is that we are getting bounced around pretty good and it seems that to keep the airplane in line with the runway I am running out of rudder control every once in a while.  The approach just doesn't seem stabilized enough for my liking so I opt for a go-around.

I used to think that it was somewhat shameful to do a go-around.  I had that thinking until I started flying tailwheel airplanes and then I found them to be invaluable for assessing the conditions at an airport before actually landing.  Also, there is less margin for error in tailwheel airplanes and things have to be lined up a lot nicer when you touch the ground than in tricycle planes.  When I was doing my tailwheel training I did a lot of go-arounds so I got really used to doing them.  Before that I tried to stick a lot of airplanes on the ground when I really should have just gone around.  Now I say to myself, "If I don't have a stabilized approach on final in the air then it is only going to get worse once I am on the ground."  Many backcountry strips don't have the option for a go-around but if the airport has the option I am not afraid to use the go-around if things just don't look or feel quite right.

After the go-around we hit some pretty major turbulence off the end of the runway.  I cut some of that part out of the video but we were seriously considering flying to a different airport or at least trying to figure out a flight path that would take us away from the approaching storms.  I remember thinking that I was really glad that I put an extra 20 gallons of fuel on board when we were considering these options.

Just then there was a lull in the weather and I thought it might just give me a big enough window to set it down.  On this attempt the wind wasn't quite as strong and definitely not as gusty.  You can see in the flight path that once we make that decision I hightail it to the runway to try to land before the wind picks up again.

The track with wind barbs shows an average of a 15 knot wind.
(Images Courtesy Jim Hudson)

It was still a pretty stiff crosswind and you can't see it on the video but I am actually landing on the upwind tire only.  I then hold it balanced on that tire and as the airplane slows down I add more and more aileron into the wind to keep the windward wing down as long as possible.  The other tire comes down and as the plane slows I am all the way to the stops with the ailerons into the wind.

We got the airplane down on the ground just in the nick of time as another storm rolled through the area.  As I was opening the hanger doors Jim Hudson was in the airplane holding the brakes and adjusting the flight control surfaces to keep the airplane from being damaged.  You can see the plane shaking around and me wrestling with the hanger doors trying to get the plane into the hanger.  You will also notice a King Air that was also trying to get on the ground but does a missed approach due to the gusting crosswinds.  We finally were able to safely tuck the airplane away in the hanger and get the doors closed.

Video courtesy of Jim Hudson:

This weeks flight training pushed my skills to the limit and I really was happy to be safely back on the ground again after this flight.  It was good to prove to myself that I can land in such gusty crosswind conditions but I am looking forward to summer flying with green grass and clear blue skies.

Wednesday, February 8, 2017

Winter Flight Proficiency Training

During the Winter it can be more difficult to maintain flight proficiency due to inclement weather and limited fair weather flying days.  This week we were lucky and the weather cooperated just enough that I was able to fly with flight instructor Jim Hudson.  There was a fresh blanket of snow on the runway in Nampa which made for perfect conditions to practice soft field takeoffs and landings.  In this video we start off with a soft field take off.  To set the flaps we fully lower one aileron and then match the flap setting to the angle of the aileron.  This ends up being about 20 degrees of flaps in the C182 we are flying.  Making sure we are operating at full power we try to become airborne and get the wheels out of the snow as soon as we can.  You can hear the stall horn as I lift the wheels out of the snow.  Once above the snow the airplane isn't really ready to fly yet and is in ground effect so we level off about a foot or two above the runway and fly just above the runway until we reach rotation speed and then continue our takeoff.

The soft snow on the runway made for some super soft landings.  Because the runway was pretty slick I also had to really concentrate on my rudder control to keep the plane lined up with the runway.  I also used very minimal braking because the tires would slip when just tapping the brakes.  This is a video of landing on the snow covered runway in Nampa.

We also did some emergency landing practice which was a little bit scary but really good for building flight proficiency.  I have always been afraid of what is sometimes called "The Impossible Turn" and this training gave me a better idea of the minimum heights and conditions at which it can be performed.  It also really put it into perspective the importance of always having an emergency landing area in mind in case you don't have enough altitude to perform this maneuver.  In this case we are in a C182 under full power climbing between Vx and Vy and you can see the altimeter is indicating we are at about 500' AGL when my instructor motions to cut the power.  I would never perform this maneuver without a qualified and experienced flight instructor on board unless it was an actual emergency. 

This video shows me performing a touch-and-go landing on the snow covered runway.  After the touch-and-go my instructor motions to fly a bit more over to the right of the runway.  You can't hear the audio but he recommends doing that just in-case we were to have an engine failure as it would make it easier to return to the runway if we needed to.  Keep in mind I don't know that he is planning to have me perform this emergency maneuver.  When he motions to cut the power I am really surprised at first but then my past flight training kicks in and I immediately pitch for best angle of glide.  Once that is established I start my turn, concentrating on my airspeed, not over banking the airplane, and keeping everything coordinated and the ball centered.  You can see that I actually overshoot the turn back to the runway a bit and then have to line it up before we touch down so we actually had even more time than I anticipated.  You might also notice that our ground speed is really fast on this landing compared to the others.  The reason for that is that we had about a 12kt headwind on the first landing which meant we had about a 12kt tailwind on the emergency landing.  This was a great day of learning and I hope I never have to use this training in a real emergency situation but at least I have a better understanding of the limitations and abilities of myself and the airplane.

This is a view of the GPS track of our flight from ForeFlight.  It shows the difference between the track of a normal takeoff and the track of the emergency landing.

Instructor Jim Hudson sent me this video of the Impossible Turn that he recorded from our emergency landing flight.  The flight was recorded using software called cloud ahoy.  Just a reminder that this maneuver should only be practiced with an experienced flight instructor.